== Source ==
┌──
Record 1
Structure and simulated powder diffractogram of ErAgTe2 (a PBE-relaxed structure; λ = 1.5418 Å (Cu Kα)).

Cell and atoms:
```
ErAgTe2
1.0
4.490 0.000 0.000
-2.245 3.888 0.000
0.000 0.000 7.292
Er Ag Te
1 1 2
Cartesian
0.000 0.000 0.000 Er
0.000 2.592 2.908 Ag
0.000 2.592 5.698 Te
2.245 1.296 1.782 Te
```

Most intense lines, 10° ≤ 2θ ≤ 80°, by angle:
- 12.14°, I 22
- 25.97°, I 100
- 33.70°, I 74
- 40.17°, I 64
- 43.93°, I 43
- 48.46°, I 18
- 53.41°, I 20
- 61.03°, I 16
- 68.89°, I 18
- 75.61°, I 17



Record 2
Structure and simulated powder diffractogram of Er7Ag2Te2 (a PBE-relaxed structure; λ = 1.5418 Å (Cu Kα)).

Cell and atoms:
```
Er7Ag2Te2
1.0
-2.034 7.732 4.828
2.034 -7.732 4.828
2.034 7.732 -4.828
Er Ag Te
7 2 2
Cartesian
0.000 0.000 0.000 Er
2.034 2.826 -1.184 Er
2.034 -2.157 2.367 Er
2.034 2.157 2.367 Er
2.034 5.810 0.864 Er
0.000 4.906 3.644 Er
0.000 1.922 5.692 Er
0.000 3.655 0.723 Ag
0.000 11.809 0.723 Ag
0.000 0.000 3.281 Te
0.000 7.732 2.302 Te
```

Most intense lines, 10° ≤ 2θ ≤ 80°, by angle:
- 27.94°, I 18
- 29.28°, I 50
- 30.35°, I 23
- 32.80°, I 50
- 33.29°, I 100
- 33.65°, I 49
- 35.57°, I 20
- 37.48°, I 23
- 44.55°, I 30
- 56.41°, I 22



Record 3
Structure and simulated powder diffractogram of ErTmAg2 (a PBE-relaxed structure; λ = 1.5418 Å (Cu Kα)).

Cell and atoms:
```
ErTmAg2
1.0
0.000 3.603 3.603
3.603 0.000 3.603
3.603 3.603 0.000
Er Tm Ag
1 1 2
Cartesian
0.000 0.000 0.000 Er
3.603 3.603 3.603 Tm
1.801 1.801 1.801 Ag
5.404 5.404 5.404 Ag
```

Most intense lines, 10° ≤ 2θ ≤ 80°, by angle:
- 24.71°, I 4
- 35.23°, I 100
- 43.51°, I 1
- 50.67°, I 18
- 57.17°, I 2
- 63.22°, I 36
- 74.49°, I 11
- 79.87°, I 1



Record 4
Structure and simulated powder diffractogram of Er2ZnAg (a PBE-relaxed structure; λ = 1.5418 Å (Cu Kα)).

Cell and atoms:
```
Er2ZnAg
1.0
0.000 3.577 3.577
3.577 0.000 3.577
3.577 3.577 0.000
Er Zn Ag
2 1 1
Cartesian
1.788 1.788 1.788 Er
5.365 5.365 5.365 Er
0.000 0.000 0.000 Zn
3.577 3.577 3.577 Ag
```

Most intense lines, 10° ≤ 2θ ≤ 80°, by angle:
- 21.52°, I 2
- 24.89°, I 10
- 35.49°, I 100
- 41.88°, I 1
- 43.84°, I 3
- 51.07°, I 18
- 57.63°, I 4
- 63.73°, I 36
- 75.12°, I 11



Record 5
Structure and simulated powder diffractogram of Eu3Ag (a PBE-relaxed structure; λ = 1.5418 Å (Cu Kα)).

Cell and atoms:
```
Eu3Ag
1.0
5.104 0.000 0.000
0.000 5.104 0.000
0.000 0.000 5.104
Eu Ag
3 1
Cartesian
0.000 0.000 2.552 Eu
0.000 2.552 0.000 Eu
2.552 0.000 0.000 Eu
2.552 2.552 2.552 Ag
```

Most intense lines, 10° ≤ 2θ ≤ 80°, by angle:
- 17.38°, I 1
- 24.67°, I 1
- 30.33°, I 100
- 35.17°, I 51
- 39.48°, I 1
- 43.43°, I 1
- 50.58°, I 36
- 60.13°, I 42
- 63.10°, I 12
- 74.34°, I 6



Record 6
Structure and simulated powder diffractogram of EuGaAg (a PBE-relaxed structure; λ = 1.5418 Å (Cu Kα)).

Cell and atoms:
```
EuGaAg
1.0
5.377 -2.394 0.000
5.377 2.394 0.000
-5.292 0.000 5.595
Eu Ga Ag
2 2 2
Cartesian
-1.121 0.000 1.664 Eu
6.582 0.000 3.931 Eu
-1.043 0.000 4.965 Ga
6.504 0.000 0.630 Ga
2.084 0.000 1.504 Ag
3.378 0.000 4.090 Ag
```

Most intense lines, 10° ≤ 2θ ≤ 80°, by angle:
- 31.43°, I 46
- 31.62°, I 57
- 31.99°, I 41
- 32.30°, I 100
- 33.33°, I 26
- 36.43°, I 21
- 37.57°, I 60
- 39.39°, I 78
- 50.16°, I 22
- 61.66°, I 20



What is the formula in the third record?
ErTmAg2



What is the formula in the fourth record?
Er2ZnAg

----------

For HfSe4Cl6, a PBE-relaxed structure gives the simulated X-ray diffraction stick pattern in this record (Cu Kα (λ = 1.5418 Å)).

Top 10 peaks for 2θ = 10–90°, by angle:
d 5.558, I 100.0; d 3.929, I 37.5; d 3.704, I 9.4; d 3.348, I 20.9; d 3.207, I 13.4; d 2.970, I 16.3; d 2.550, I 30.2; d 2.269, I 9.6; d 2.137, I 38.3; d 1.878, I 23.6

```
HfSe4Cl6
1.0
11.102 0.000 0.000
0.000 11.102 0.000
0.000 0.000 11.129
Hf Se Cl
4 16 24
direct
0.000 0.000 0.000
0.000 0.500 0.500
0.500 0.000 0.500
0.500 0.500 0.000
0.090 0.090 0.421
0.090 0.410 0.921
0.105 0.605 0.000
0.105 0.895 0.500
0.395 0.605 0.500
0.395 0.895 0.000
0.410 0.090 0.921
0.410 0.410 0.421
└──

== What to do ==
It remains to repeat everything above verbatim.

== Here it is ==
Record 1
Structure and simulated powder diffractogram of ErAgTe2 (a PBE-relaxed structure; λ = 1.5418 Å (Cu Kα)).

Cell and atoms:
```
ErAgTe2
1.0
4.490 0.000 0.000
-2.245 3.888 0.000
0.000 0.000 7.292
Er Ag Te
1 1 2
Cartesian
0.000 0.000 0.000 Er
0.000 2.592 2.908 Ag
0.000 2.592 5.698 Te
2.245 1.296 1.782 Te
```

Most intense lines, 10° ≤ 2θ ≤ 80°, by angle:
- 12.14°, I 22
- 25.97°, I 100
- 33.70°, I 74
- 40.17°, I 64
- 43.93°, I 43
- 48.46°, I 18
- 53.41°, I 20
- 61.03°, I 16
- 68.89°, I 18
- 75.61°, I 17



Record 2
Structure and simulated powder diffractogram of Er7Ag2Te2 (a PBE-relaxed structure; λ = 1.5418 Å (Cu Kα)).

Cell and atoms:
```
Er7Ag2Te2
1.0
-2.034 7.732 4.828
2.034 -7.732 4.828
2.034 7.732 -4.828
Er Ag Te
7 2 2
Cartesian
0.000 0.000 0.000 Er
2.034 2.826 -1.184 Er
2.034 -2.157 2.367 Er
2.034 2.157 2.367 Er
2.034 5.810 0.864 Er
0.000 4.906 3.644 Er
0.000 1.922 5.692 Er
0.000 3.655 0.723 Ag
0.000 11.809 0.723 Ag
0.000 0.000 3.281 Te
0.000 7.732 2.302 Te
```

Most intense lines, 10° ≤ 2θ ≤ 80°, by angle:
- 27.94°, I 18
- 29.28°, I 50
- 30.35°, I 23
- 32.80°, I 50
- 33.29°, I 100
- 33.65°, I 49
- 35.57°, I 20
- 37.48°, I 23
- 44.55°, I 30
- 56.41°, I 22



Record 3
Structure and simulated powder diffractogram of ErTmAg2 (a PBE-relaxed structure; λ = 1.5418 Å (Cu Kα)).

Cell and atoms:
```
ErTmAg2
1.0
0.000 3.603 3.603
3.603 0.000 3.603
3.603 3.603 0.000
Er Tm Ag
1 1 2
Cartesian
0.000 0.000 0.000 Er
3.603 3.603 3.603 Tm
1.801 1.801 1.801 Ag
5.404 5.404 5.404 Ag
```

Most intense lines, 10° ≤ 2θ ≤ 80°, by angle:
- 24.71°, I 4
- 35.23°, I 100
- 43.51°, I 1
- 50.67°, I 18
- 57.17°, I 2
- 63.22°, I 36
- 74.49°, I 11
- 79.87°, I 1



Record 4
Structure and simulated powder diffractogram of Er2ZnAg (a PBE-relaxed structure; λ = 1.5418 Å (Cu Kα)).

Cell and atoms:
```
Er2ZnAg
1.0
0.000 3.577 3.577
3.577 0.000 3.577
3.577 3.577 0.000
Er Zn Ag
2 1 1
Cartesian
1.788 1.788 1.788 Er
5.365 5.365 5.365 Er
0.000 0.000 0.000 Zn
3.577 3.577 3.577 Ag
```

Most intense lines, 10° ≤ 2θ ≤ 80°, by angle:
- 21.52°, I 2
- 24.89°, I 10
- 35.49°, I 100
- 41.88°, I 1
- 43.84°, I 3
- 51.07°, I 18
- 57.63°, I 4
- 63.73°, I 36
- 75.12°, I 11



Record 5
Structure and simulated powder diffractogram of Eu3Ag (a PBE-relaxed structure; λ = 1.5418 Å (Cu Kα)).

Cell and atoms:
```
Eu3Ag
1.0
5.104 0.000 0.000
0.000 5.104 0.000
0.000 0.000 5.104
Eu Ag
3 1
Cartesian
0.000 0.000 2.552 Eu
0.000 2.552 0.000 Eu
2.552 0.000 0.000 Eu
2.552 2.552 2.552 Ag
```

Most intense lines, 10° ≤ 2θ ≤ 80°, by angle:
- 17.38°, I 1
- 24.67°, I 1
- 30.33°, I 100
- 35.17°, I 51
- 39.48°, I 1
- 43.43°, I 1
- 50.58°, I 36
- 60.13°, I 42
- 63.10°, I 12
- 74.34°, I 6



Record 6
Structure and simulated powder diffractogram of EuGaAg (a PBE-relaxed structure; λ = 1.5418 Å (Cu Kα)).

Cell and atoms:
```
EuGaAg
1.0
5.377 -2.394 0.000
5.377 2.394 0.000
-5.292 0.000 5.595
Eu Ga Ag
2 2 2
Cartesian
-1.121 0.000 1.664 Eu
6.582 0.000 3.931 Eu
-1.043 0.000 4.965 Ga
6.504 0.000 0.630 Ga
2.084 0.000 1.504 Ag
3.378 0.000 4.090 Ag
```

Most intense lines, 10° ≤ 2θ ≤ 80°, by angle:
- 31.43°, I 46
- 31.62°, I 57
- 31.99°, I 41
- 32.30°, I 100
- 33.33°, I 26
- 36.43°, I 21
- 37.57°, I 60
- 39.39°, I 78
- 50.16°, I 22
- 61.66°, I 20



What is the formula in the third record?
ErTmAg2



What is the formula in the fourth record?
Er2ZnAg

----------

For HfSe4Cl6, a PBE-relaxed structure gives the simulated X-ray diffraction stick pattern in this record (Cu Kα (λ = 1.5418 Å)).

Top 10 peaks for 2θ = 10–90°, by angle:
d 5.558, I 100.0; d 3.929, I 37.5; d 3.704, I 9.4; d 3.348, I 20.9; d 3.207, I 13.4; d 2.970, I 16.3; d 2.550, I 30.2; d 2.269, I 9.6; d 2.137, I 38.3; d 1.878, I 23.6

```
HfSe4Cl6
1.0
11.102 0.000 0.000
0.000 11.102 0.000
0.000 0.000 11.129
Hf Se Cl
4 16 24
direct
0.000 0.000 0.000
0.000 0.500 0.500
0.500 0.000 0.500
0.500 0.500 0.000
0.090 0.090 0.421
0.090 0.410 0.921
0.105 0.605 0.000
0.105 0.895 0.500
0.395 0.605 0.500
0.395 0.895 0.000
0.410 0.090 0.921
0.410 0.410 0.421